**Input:**
<<<
# 1
Computed, not measured: C8H11FO2S in the gas phase at a distorted geometry, with ωB97M-V/def2-TZVPD.

ORCA input file:
```
! RIJCOSX wB97M-V def2-TZVPD def2/J DEFGRID3
* xyz 0 1
C -0.812 1.577 1.451
C 1.619 1.336 1.195
C -1.025 0.865 0.179
C 1.330 0.333 0.115
C 0.513 2.269 1.570
C -0.062 -0.357 0.013
C -0.239 -0.954 -1.351
C -0.210 -1.443 1.186
O -1.495 1.444 2.404
O 2.704 1.541 1.674
F 0.776 2.751 2.791
S 0.456 3.788 0.343
H -2.129 0.696 0.147
H -0.811 1.626 -0.654
H 1.479 0.902 -0.715
H 2.353 -0.277 0.191
H -1.074 -1.680 -1.324
H 0.646 -1.581 -1.573
H -0.500 -0.222 -2.138
H -0.306 -0.872 2.106
H 0.557 -2.145 1.098
H -1.110 -1.911 0.918
H 1.645 4.187 0.371
*
```

## Properties
**HOMO**: -9.96 eV

Results of the Löwdin charge analysis, in e, for atoms 1 through 4: -0.456 -0.388 -0.087 -0.068


# 2
Computed, not measured: C5H10O2 as an isolated structure, with ωB97M-V/def2-TZVPD.

ORCA input file:
```
! RIJCOSX wB97M-V def2-TZVPD def2/J DEFGRID3
* xyz 0 1
C 2.162 -0.598 -0.454
C 0.838 -0.618 0.270
O 0.521 0.592 0.971
C -0.875 0.454 0.621
C -1.543 1.769 0.306
C -0.483 -0.517 -0.505
O -1.222 -1.684 -0.722
H 2.966 -0.326 0.236
H 2.385 -1.589 -0.868
H 2.138 0.127 -1.272
H -0.779 -2.362 -0.201
H 0.800 -1.472 0.978
H -1.415 -0.088 1.415
H -2.596 1.608 0.052
H -1.493 2.436 1.174
H -1.048 2.259 -0.538
H -0.356 0.010 -1.463
*
```

## Properties
**HOMO**: -9.80 eV

Results of the Löwdin charge analysis, in e, for atoms 1 through 4: -0.028 -0.345 -0.049 -0.321


# 3
Computed, not measured: a 6-piece molecular cluster, C45H59F5N2O12 overall at a distorted geometry, with ωB97M-V/def2-TZVPD.

ORCA input file:
```
! RIJCOSX wB97M-V def2-TZVPD def2/J DEFGRID3
* xyz 0 1
C 3.574 1.907 5.862
C 3.007 1.597 4.868
C 2.292 1.109 3.717
C 2.370 -0.283 3.470
C 3.174 -1.157 4.404
C 4.643 -1.220 3.926
C 1.689 -0.794 2.365
C 0.994 0.085 1.517
C 0.931 1.465 1.752
N 0.221 2.292 0.842
C 1.017 2.864 -0.256
C 0.709 4.320 -0.584
C -0.791 4.599 -0.764
C -1.264 4.333 -2.216
C 1.570 1.988 2.897
C 1.440 3.471 3.175
F 2.050 4.144 2.152
F 2.048 3.878 4.295
C -0.054 4.009 3.258
F -0.399 4.760 2.221
F -0.928 3.010 3.443
F -0.158 4.799 4.350
C 0.294 -0.551 0.345
O 0.229 -0.055 -0.755
C -0.289 -1.898 0.626
C -1.593 -2.387 0.012
C -2.401 -1.385 -0.813
C -2.840 -0.106 -0.071
C -3.153 -0.304 1.414
C -4.459 -1.075 1.601
N -5.624 -0.188 1.361
C 0.400 -2.716 1.427
C 1.664 -2.259 2.035
O 2.581 -3.009 2.265
H 3.967 2.423 6.703
H 3.149 -0.786 5.420
H 2.742 -2.148 4.343
H 5.314 -0.869 4.692
H 4.823 -0.583 3.058
H 4.941 -2.221 3.641
H -0.605 1.833 0.497
H 0.770 2.303 -1.163
H 2.082 2.702 -0.113
H 1.206 4.565 -1.524
H 1.104 5.016 0.152
H -1.406 4.065 -0.046
H -0.951 5.661 -0.582
H -1.685 5.229 -2.665
H -0.426 4.037 -2.845
H -2.007 3.539 -2.248
H -2.183 -2.832 0.813
H -1.323 -3.204 -0.659
H -1.834 -1.174 -1.710
H -3.302 -1.877 -1.147
H -3.753 0.239 -0.559
H -2.118 0.696 -0.217
H -2.326 -0.768 1.953
H -3.287 0.683 1.865
H -4.510 -1.451 2.622
H -4.520 -1.893 0.886
H -5.320 0.774 1.287
H -6.256 -0.246 2.146
H 0.023 -3.709 1.632
O -3.252 -2.433 -3.280
C -4.149 -2.958 -3.878
O -5.200 -3.543 -3.263
C -6.060 -4.168 -4.241
C -5.749 -3.454 -5.547
C -4.276 -3.104 -5.377
H -5.824 -5.234 -4.280
H -7.096 -4.050 -3.934
H -5.966 -4.055 -6.429
H -6.333 -2.539 -5.613
H -3.615 -3.908 -5.708
H -4.015 -2.172 -5.872
O -3.707 0.441 -5.327
C -2.561 0.717 -5.526
O -2.014 0.745 -6.765
C -0.600 0.999 -6.672
C -0.402 1.674 -5.321
C -1.507 1.033 -4.485
H -0.074 0.044 -6.740
H -0.296 1.627 -7.506
H 0.599 1.538 -4.916
H -0.586 2.746 -5.412
H -1.184 0.098 -4.022
H -1.901 1.706 -3.731
O -9.500 -2.221 -4.817
C -9.012 -1.131 -4.901
O -7.992 -0.852 -5.747
C -7.539 0.503 -5.546
C -8.717 1.222 -4.904
>>>

**Job:**
Next, retype the lines earlier on from the one with "2.365" to the one with "-8.717 1.222" without altering anything.

**Reply:**
C 1.689 -0.794 2.365
C 0.994 0.085 1.517
C 0.931 1.465 1.752
N 0.221 2.292 0.842
C 1.017 2.864 -0.256
C 0.709 4.320 -0.584
C -0.791 4.599 -0.764
C -1.264 4.333 -2.216
C 1.570 1.988 2.897
C 1.440 3.471 3.175
F 2.050 4.144 2.152
F 2.048 3.878 4.295
C -0.054 4.009 3.258
F -0.399 4.760 2.221
F -0.928 3.010 3.443
F -0.158 4.799 4.350
C 0.294 -0.551 0.345
O 0.229 -0.055 -0.755
C -0.289 -1.898 0.626
C -1.593 -2.387 0.012
C -2.401 -1.385 -0.813
C -2.840 -0.106 -0.071
C -3.153 -0.304 1.414
C -4.459 -1.075 1.601
N -5.624 -0.188 1.361
C 0.400 -2.716 1.427
C 1.664 -2.259 2.035
O 2.581 -3.009 2.265
H 3.967 2.423 6.703
H 3.149 -0.786 5.420
H 2.742 -2.148 4.343
H 5.314 -0.869 4.692
H 4.823 -0.583 3.058
H 4.941 -2.221 3.641
H -0.605 1.833 0.497
H 0.770 2.303 -1.163
H 2.082 2.702 -0.113
H 1.206 4.565 -1.524
H 1.104 5.016 0.152
H -1.406 4.065 -0.046
H -0.951 5.661 -0.582
H -1.685 5.229 -2.665
H -0.426 4.037 -2.845
H -2.007 3.539 -2.248
H -2.183 -2.832 0.813
H -1.323 -3.204 -0.659
H -1.834 -1.174 -1.710
H -3.302 -1.877 -1.147
H -3.753 0.239 -0.559
H -2.118 0.696 -0.217
H -2.326 -0.768 1.953
H -3.287 0.683 1.865
H -4.510 -1.451 2.622
H -4.520 -1.893 0.886
H -5.320 0.774 1.287
H -6.256 -0.246 2.146
H 0.023 -3.709 1.632
O -3.252 -2.433 -3.280
C -4.149 -2.958 -3.878
O -5.200 -3.543 -3.263
C -6.060 -4.168 -4.241
C -5.749 -3.454 -5.547
C -4.276 -3.104 -5.377
H -5.824 -5.234 -4.280
H -7.096 -4.050 -3.934
H -5.966 -4.055 -6.429
H -6.333 -2.539 -5.613
H -3.615 -3.908 -5.708
H -4.015 -2.172 -5.872
O -3.707 0.441 -5.327
C -2.561 0.717 -5.526
O -2.014 0.745 -6.765
C -0.600 0.999 -6.672
C -0.402 1.674 -5.321
C -1.507 1.033 -4.485
H -0.074 0.044 -6.740
H -0.296 1.627 -7.506
H 0.599 1.538 -4.916
H -0.586 2.746 -5.412
H -1.184 0.098 -4.022
H -1.901 1.706 -3.731
O -9.500 -2.221 -4.817
C -9.012 -1.131 -4.901
O -7.992 -0.852 -5.747
C -7.539 0.503 -5.546
C -8.717 1.222 -4.904